## File
<<<
Computed, not measured: Cs2NaPa2Se7 after structural relaxation at the PBE-GGA level of DFT.

- magnetization (μB per cell) = 0.0
- final energy (eV/atom) = -5.112
- DOS at the Fermi energy (states/eV/f.u.) = 5.6
- symmetry = I4/mmm

a = 15.061 Å, b = 15.061 Å, c = 15.061 Å
α = 158.82°, β = 158.82°, γ = 30.13°
Positions (direct):
Cs 0.185 0.185 0.000
Cs 0.815 0.815 0.000
Na 0.000 0.000 0.000
Pa 0.405 0.405 0.000
Pa 0.595 0.595 0.000
Se 0.088 0.588 0.500
Se 0.314 0.314 0.000
Se 0.412 0.912 0.500
Se 0.500 0.500 0.000
Se 0.588 0.088 0.500
Se 0.686 0.686 0.000
Se 0.912 0.412 0.500



Computed, not measured: AgSeS3 after structural relaxation at the PBE-GGA level of DFT.

- polymorph energy (0 for the lowest one) (meV/atom) = 947
- magnetization (μB per cell) = 0.0
- final energy (eV/atom) = -2.697
- DOS at the Fermi energy (states/eV/f.u.) = 6.1
- symmetry = Pm-3m

a = 4.788 Å, b = 4.788 Å, c = 4.788 Å
α = 90.00°, β = 90.00°, γ = 90.00°
Positions (direct):
Ag 0.000 0.000 0.000
Se 0.500 0.500 0.500
S 0.000 0.000 0.500
S 0.000 0.500 0.000
S 0.500 0.000 0.000



Computed, not measured: DyEr3Tm5 after structural relaxation at the PBE-GGA level of DFT.

- polymorph energy (0 for the lowest one) (meV/atom) = 0
- magnetization (μB per cell) = 0.0
- energy of formation (eV/atom) = 0.24
- final energy (eV/atom) = -4.278
- DOS at the Fermi energy (states/eV/f.u.) = 14.8
- symmetry = C2/c

a = 9.096 Å, b = 9.096 Å, c = 10.832 Å
α = 125.86°, β = 125.86°, γ = 57.52°
Positions (direct):
Dy 0.172 0.828 0.750
Dy 0.828 0.172 0.250
Er 0.247 0.320 0.532
Er 0.320 0.247 0.032
Er 0.500 0.500 0.000
Er 0.500 0.500 0.500
Er 0.680 0.753 0.968
Er 0.753 0.680 0.468
Tm 0.022 0.785 0.385
Tm 0.034 0.602 0.837
Tm 0.215 0.978 0.115
Tm 0.268 0.732 0.250
Tm 0.398 0.966 0.663
Tm 0.602 0.034 0.337
Tm 0.732 0.268 0.750
Tm 0.785 0.022 0.885
Tm 0.966 0.398 0.163
Tm 0.978 0.215 0.615



Computed, not measured: Ba4MgSe after structural relaxation at the PBE-GGA level of DFT.

- magnetization (μB per cell) = 1.6
- final energy (eV/atom) = -1.948
- DOS at the Fermi energy (states/eV/f.u.) = 7.9
- symmetry = F-43m

a = 7.326 Å, b = 7.326 Å, c = 7.326 Å
α = 60.00°, β = 60.00°, γ = 60.00°
Positions (direct):
Ba 0.376 0.376 0.376
Ba 0.376 0.376 0.872
Ba 0.376 0.872 0.376
Ba 0.872 0.376 0.376
Mg 0.000 0.000 0.000
Se 0.750 0.750 0.750



Computed, not measured: Er2MgCu6 after structural relaxation at the PBE-GGA level of DFT.

- magnetization (μB per cell) = 0.0
- energy of formation (eV/atom) = -0.15
- final energy (eV/atom) = -4.073
- DOS at the Fermi energy (states/eV/f.u.) = 4.0
- symmetry = C2/m

a = 5.702 Å, b = 5.702 Å, c = 5.385 Å
α = 90.09°, β = 90.09°, γ = 59.79°
Positions (direct):
Er 0.167 0.167 0.156
Er 0.833 0.833 0.844
Mg 0.500 0.500 0.000
Cu 0.127 0.686 0.344
Cu 0.312 0.312 0.656
Cu 0.314 0.873 0.656
Cu 0.686 0.127 0.344
Cu 0.688 0.688 0.344
Cu 0.873 0.314 0.656



Computed, not measured: Cr3CoTc after structural relaxation at the PBE-GGA level of DFT.

- polymorph energy (0 for the lowest one) (meV/atom) = 0
- magnetization (μB per cell) = 0.0
- energy of formation (eV/atom) = 1.28
- final energy (eV/atom) = -7.991
- DOS at the Fermi energy (states/eV/f.u.) = 8.5
- symmetry = Pm-3m

a = 4.143 Å, b = 4.143 Å, c = 4.143 Å
α = 90.00°, β = 90.00°, γ = 90.00°
Positions (direct):
Cr 0.000 0.000 0.500
Cr 0.000 0.500 0.000
Cr 0.500 0.000 0.000
Co 0.000 0.000 0.000
Tc 0.500 0.500 0.500



Computed, not measured: Ag2TeAsS4 after structural relaxation at the PBE-GGA level of DFT.

- magnetization (μB per cell) = 0.0
- final energy (eV/atom) = -3.762
- DOS at the Fermi energy (states/eV/f.u.) = 2.5
- symmetry = P1

a = 5.557 Å, b = 6.713 Å, c = 6.869 Å
α = 65.39°, β = 78.94°, γ = 66.16°
Positions (direct):
Ag 0.000 0.000 0.000
Ag 0.407 0.546 0.666
Te 0.812 0.621 0.087
As 0.676 0.068 0.482
S 0.037 0.799 0.402
S 0.153 0.331 0.986
S 0.503 0.821 0.793
S 0.834 0.234 0.627



Computed, not measured: SiTcHg3 after structural relaxation at the PBE-GGA level of DFT.
>>>

## Assignment
Copy the whole of the material further above without altering anything.

## Response
Computed, not measured: Cs2NaPa2Se7 after structural relaxation at the PBE-GGA level of DFT.

- magnetization (μB per cell) = 0.0
- final energy (eV/atom) = -5.112
- DOS at the Fermi energy (states/eV/f.u.) = 5.6
- symmetry = I4/mmm

a = 15.061 Å, b = 15.061 Å, c = 15.061 Å
α = 158.82°, β = 158.82°, γ = 30.13°
Positions (direct):
Cs 0.185 0.185 0.000
Cs 0.815 0.815 0.000
Na 0.000 0.000 0.000
Pa 0.405 0.405 0.000
Pa 0.595 0.595 0.000
Se 0.088 0.588 0.500
Se 0.314 0.314 0.000
Se 0.412 0.912 0.500
Se 0.500 0.500 0.000
Se 0.588 0.088 0.500
Se 0.686 0.686 0.000
Se 0.912 0.412 0.500



Computed, not measured: AgSeS3 after structural relaxation at the PBE-GGA level of DFT.

- polymorph energy (0 for the lowest one) (meV/atom) = 947
- magnetization (μB per cell) = 0.0
- final energy (eV/atom) = -2.697
- DOS at the Fermi energy (states/eV/f.u.) = 6.1
- symmetry = Pm-3m

a = 4.788 Å, b = 4.788 Å, c = 4.788 Å
α = 90.00°, β = 90.00°, γ = 90.00°
Positions (direct):
Ag 0.000 0.000 0.000
Se 0.500 0.500 0.500
S 0.000 0.000 0.500
S 0.000 0.500 0.000
S 0.500 0.000 0.000



Computed, not measured: DyEr3Tm5 after structural relaxation at the PBE-GGA level of DFT.

- polymorph energy (0 for the lowest one) (meV/atom) = 0
- magnetization (μB per cell) = 0.0
- energy of formation (eV/atom) = 0.24
- final energy (eV/atom) = -4.278
- DOS at the Fermi energy (states/eV/f.u.) = 14.8
- symmetry = C2/c

a = 9.096 Å, b = 9.096 Å, c = 10.832 Å
α = 125.86°, β = 125.86°, γ = 57.52°
Positions (direct):
Dy 0.172 0.828 0.750
Dy 0.828 0.172 0.250
Er 0.247 0.320 0.532
Er 0.320 0.247 0.032
Er 0.500 0.500 0.000
Er 0.500 0.500 0.500
Er 0.680 0.753 0.968
Er 0.753 0.680 0.468
Tm 0.022 0.785 0.385
Tm 0.034 0.602 0.837
Tm 0.215 0.978 0.115
Tm 0.268 0.732 0.250
Tm 0.398 0.966 0.663
Tm 0.602 0.034 0.337
Tm 0.732 0.268 0.750
Tm 0.785 0.022 0.885
Tm 0.966 0.398 0.163
Tm 0.978 0.215 0.615



Computed, not measured: Ba4MgSe after structural relaxation at the PBE-GGA level of DFT.

- magnetization (μB per cell) = 1.6
- final energy (eV/atom) = -1.948
- DOS at the Fermi energy (states/eV/f.u.) = 7.9
- symmetry = F-43m

a = 7.326 Å, b = 7.326 Å, c = 7.326 Å
α = 60.00°, β = 60.00°, γ = 60.00°
Positions (direct):
Ba 0.376 0.376 0.376
Ba 0.376 0.376 0.872
Ba 0.376 0.872 0.376
Ba 0.872 0.376 0.376
Mg 0.000 0.000 0.000
Se 0.750 0.750 0.750



Computed, not measured: Er2MgCu6 after structural relaxation at the PBE-GGA level of DFT.

- magnetization (μB per cell) = 0.0
- energy of formation (eV/atom) = -0.15
- final energy (eV/atom) = -4.073
- DOS at the Fermi energy (states/eV/f.u.) = 4.0
- symmetry = C2/m

a = 5.702 Å, b = 5.702 Å, c = 5.385 Å
α = 90.09°, β = 90.09°, γ = 59.79°
Positions (direct):
Er 0.167 0.167 0.156
Er 0.833 0.833 0.844
Mg 0.500 0.500 0.000
Cu 0.127 0.686 0.344
Cu 0.312 0.312 0.656
Cu 0.314 0.873 0.656
Cu 0.686 0.127 0.344
Cu 0.688 0.688 0.344
Cu 0.873 0.314 0.656



Computed, not measured: Cr3CoTc after structural relaxation at the PBE-GGA level of DFT.

- polymorph energy (0 for the lowest one) (meV/atom) = 0
- magnetization (μB per cell) = 0.0
- energy of formation (eV/atom) = 1.28
- final energy (eV/atom) = -7.991
- DOS at the Fermi energy (states/eV/f.u.) = 8.5
- symmetry = Pm-3m

a = 4.143 Å, b = 4.143 Å, c = 4.143 Å
α = 90.00°, β = 90.00°, γ = 90.00°
Positions (direct):
Cr 0.000 0.000 0.500
Cr 0.000 0.500 0.000
Cr 0.500 0.000 0.000
Co 0.000 0.000 0.000
Tc 0.500 0.500 0.500



Computed, not measured: Ag2TeAsS4 after structural relaxation at the PBE-GGA level of DFT.

- magnetization (μB per cell) = 0.0
- final energy (eV/atom) = -3.762
- DOS at the Fermi energy (states/eV/f.u.) = 2.5
- symmetry = P1

a = 5.557 Å, b = 6.713 Å, c = 6.869 Å
α = 65.39°, β = 78.94°, γ = 66.16°
Positions (direct):
Ag 0.000 0.000 0.000
Ag 0.407 0.546 0.666
Te 0.812 0.621 0.087
As 0.676 0.068 0.482
S 0.037 0.799 0.402
S 0.153 0.331 0.986
S 0.503 0.821 0.793
S 0.834 0.234 0.627



Computed, not measured: SiTcHg3 after structural relaxation at the PBE-GGA level of DFT.